Given:
~~~
(1)
DFT (PBE with a Hubbard U) results for crystalline Nb3CoP6O24 at its relaxed geometry.

Cell: 8.9144 8.9144 8.9144 Å, 58.46 58.46 58.46°
Last column: nearest neighbours and their distance in Å.
Fractional coordinates of all 34 atoms:
Nb1 0.6386 0.6386 0.6386  6 O 1.96-2.01
Nb2 0.1401 0.1401 0.1401  6 O 1.97-2.00
Nb3 0.3583 0.3583 0.3583  6 O 1.98-2.01
O1 0.2177 0.9955 0.3661  1 P 1.55
O2 0.4392 0.5794 0.2091  1 P 1.56
O3 0.9198 0.0601 0.2925  1 P 1.56
O4 0.9955 0.3661 0.2177  1 P 1.55
O5 0.0099 0.6422 0.7757  1 P 1.51
O6 0.6422 0.7757 0.0099  1 P 1.51
O7 0.3661 0.2177 0.9955  1 P 1.55
O8 0.2091 0.4392 0.5794  1 P 1.56
O9 0.1334 0.5044 0.2779  1 P 1.56
O10 0.2779 0.1334 0.5044  1 P 1.56
O11 0.7898 0.5634 0.4168  1 P 1.56
O12 0.7757 0.0099 0.6422  1 P 1.51
O13 0.7200 0.8634 0.4991  1 P 1.54
O14 0.0601 0.2925 0.9198  1 P 1.56
O15 0.8634 0.4991 0.7200  1 P 1.54
O16 0.2925 0.9198 0.0601  1 P 1.56
O17 0.4168 0.7898 0.5634  1 P 1.56
O18 0.4991 0.7200 0.8634  1 P 1.54
O19 0.5794 0.2091 0.4392  1 P 1.56
O20 0.5634 0.4168 0.7898  1 P 1.56
O21 0.9403 0.7209 0.0686  1 P 1.50
O22 0.0686 0.9403 0.7209  1 P 1.50
O23 0.7209 0.0686 0.9403  1 P 1.50
O24 0.5044 0.2779 0.1334  1 P 1.56
P1 0.0297 0.4770 0.7505  4 O 1.51-1.56
P2 0.9647 0.5448 0.2353  4 O 1.50-1.56
P3 0.4770 0.7505 0.0297  4 O 1.51-1.56
P4 0.5448 0.2353 0.9647  4 O 1.50-1.56
P5 0.7505 0.0297 0.4770  4 O 1.51-1.56
P6 0.2353 0.9647 0.5448  4 O 1.50-1.56
Co1 0.8558 0.8558 0.8558  6 O 1.92-1.94

Results
E (MP2020) = -280.80 eV for the cell shown
electronic total energy = -7.7256 eV per atom
calculated formation energy = -2.710 eV per atom
SG = R3 (146)

(2)
DFT (PBE with a Hubbard U) results for crystalline NbCo3P4O16 at its relaxed geometry.

Cell: 6.0010 4.9653 9.9939 Å, 89.24 90.00 90.00°
Last column: nearest neighbours and their distance in Å.
Fractional coordinates of all 24 atoms:
Co1 0.5000 0.5439 0.2314  6 O 2.00-2.24
Co2 0.0000 0.0300 0.2648  2 O 1.86-2.01
Co3 0.0000 0.4619 0.7766  4 O 1.95-2.18
O1 0.7995 0.7427 0.1707  1 P 1.57
O2 0.2045 0.7949 0.6706  1 P 1.62
O3 0.5000 0.1485 0.5530  1 P 1.65
O4 0.7052 0.2257 0.3331  1 P 1.54
O5 0.6956 0.2446 0.8295  1 P 1.60
O6 0.0000 0.2341 0.6163  1 P 1.51
O7 0.2948 0.2257 0.3331  1 P 1.54
O8 0.0000 0.8495 0.4459  1 P 1.51
O9 0.2005 0.7427 0.1707  1 P 1.57
O10 0.5000 0.7767 0.3931  1 P 1.51
O11 0.3044 0.2446 0.8295  1 P 1.60
O12 0.0000 0.2877 0.1283  1 P 1.56
O13 0.0000 0.6403 0.9495  1 P 1.53
O14 0.7955 0.7949 0.6706  1 P 1.62
O15 0.5000 0.3422 0.0547  1 P 1.48
O16 0.5000 0.6929 0.8660  1 P 1.55
P1 0.5000 0.3915 0.9086  4 O 1.48-1.60
P2 0.0000 0.5972 0.1010  4 O 1.53-1.57
P3 0.5000 0.0800 0.3918  4 O 1.51-1.65
P4 0.0000 0.9353 0.5900  4 O 1.51-1.62
Nb1 0.5000 0.9726 0.7213  6 O 1.88-2.10

Results
E (MP2020) = -183.86 eV for the cell shown
electronic total energy = -6.9981 eV per atom
calculated formation energy = -2.151 eV per atom
SG = Pm (6)

(3)
DFT (PBE with a Hubbard U) results for crystalline Nb2CoP6O21 at its relaxed geometry.

Cell: 8.0786 6.6335 16.9572 Å, 67.54 90.00 90.00°
Last column: nearest neighbours and their distance in Å.
Fractional coordinates of all 60 atoms:
O1 0.0242 0.6013 0.0841  1 P 1.55
O2 0.7065 0.7960 0.3528  1 P 1.55
O3 0.7935 0.7960 0.8528  1 P 1.55
O4 0.7178 0.1678 0.9542  1 P 1.48
O5 0.4262 0.3726 0.7601  1 P 1.55
O6 0.9262 0.6274 0.7399  1 P 1.55
O7 0.5242 0.3987 0.4159  1 P 1.55
O8 0.7822 0.1678 0.4542  1 P 1.48
O9 0.2935 0.2040 0.6472  1 P 1.55
O10 0.2563 0.6087 0.3089  1 P 1.55
O11 0.9921 0.8597 0.4065  1 P 1.48
O12 0.0079 0.1403 0.5935  1 P 1.48
O13 0.9758 0.3987 0.9159  1 P 1.55
O14 0.1101 0.7663 0.9301  1 P 1.56
O15 0.0738 0.3726 0.2601  1 P 1.55
O16 0.3899 0.7663 0.4301  1 P 1.56
O17 0.4466 0.4045 0.1694  2 P 1.61
O18 0.9466 0.5955 0.3306  2 P 1.61
O19 0.2822 0.8322 0.0458  1 P 1.48
O20 0.2437 0.6087 0.8089  1 P 1.55
O21 0.1302 0.2692 0.4189  1 P 1.48
O22 0.5534 0.5955 0.8306  2 P 1.61
O23 0.0735 0.0031 0.7523  1 P 1.56
O24 0.6302 0.7308 0.0811  1 P 1.48
O25 0.9265 0.9969 0.2477  1 P 1.56
~~~
Work order:
Please find "-6.9981 eV" and "O15 0.0738" in the entries earlier on, and echo these two lines and those between.
Response:
electronic total energy = -6.9981 eV per atom
calculated formation energy = -2.151 eV per atom
SG = Pm (6)

(3)
DFT (PBE with a Hubbard U) results for crystalline Nb2CoP6O21 at its relaxed geometry.

Cell: 8.0786 6.6335 16.9572 Å, 67.54 90.00 90.00°
Last column: nearest neighbours and their distance in Å.
Fractional coordinates of all 60 atoms:
O1 0.0242 0.6013 0.0841  1 P 1.55
O2 0.7065 0.7960 0.3528  1 P 1.55
O3 0.7935 0.7960 0.8528  1 P 1.55
O4 0.7178 0.1678 0.9542  1 P 1.48
O5 0.4262 0.3726 0.7601  1 P 1.55
O6 0.9262 0.6274 0.7399  1 P 1.55
O7 0.5242 0.3987 0.4159  1 P 1.55
O8 0.7822 0.1678 0.4542  1 P 1.48
O9 0.2935 0.2040 0.6472  1 P 1.55
O10 0.2563 0.6087 0.3089  1 P 1.55
O11 0.9921 0.8597 0.4065  1 P 1.48
O12 0.0079 0.1403 0.5935  1 P 1.48
O13 0.9758 0.3987 0.9159  1 P 1.55
O14 0.1101 0.7663 0.9301  1 P 1.56
O15 0.0738 0.3726 0.2601  1 P 1.55